Activity:
What is needed: transcribe only the lines underneath with the word "an" in them.

Excerpt:
+++
[1]
The following is a quantum chemistry calculation of one molecule with the formula C4H5NO at a distorted geometry, from the OMol25 dataset.

Results
* multiplicity: 3
* E: -285.220015 Eh
* relative energy (zero: lowest compared OMol25 entry of this formula, charge and spin): 15.2 kcal per mole
* LUMO level (spin up / spin down): 0.311 / -0.662 eV
* frontier orbital gap (spin up / spin down): 0.2819 / 0.3545 hartree

Each line ends with the Mulliken charge.
Geometry (Å):
C: -1.0921 1.0180 -0.0991  -0.057
C: -1.6421 -0.0388 -0.7682  0.479
C: 0.9400 -1.0266 -0.2123  -1.035
C: 1.1005 0.2244 0.4512  -0.125
N: 0.0678 1.2516 0.5049  -0.506
O: -2.2122 -1.0359 -1.0671  -0.389
H: -1.7586 1.9904 -0.0393  0.282
H: 1.6349 -1.8029 -0.3885  0.341
H: -0.0568 -1.3005 -0.3177  0.301
H: 0.9938 0.0232 1.5388  0.280
H: 2.0248 0.6970 0.3974  0.429



[2]
The following is a quantum chemistry calculation of a 2-piece molecular cluster, C3H10N2O overall at a distorted geometry, from the OMol25 dataset.

Results
* multiplicity: 2
* E: -304.651419 Eh
* relative energy (zero: lowest compared OMol25 entry of this formula, charge and spin): 84.0 kcal per mole
* LUMO level (spin up / spin down): -3.402 / -8.491 eV
* total charge: +1
* frontier orbital gap (spin up / spin down): 0.3746 / 0.1854 hartree

Each line ends with the Mulliken charge.
Geometry (Å):
O: 0.8609 -1.4949 -1.0090  -0.478
C: 0.0645 -2.2065 -0.4288  0.221
C: -1.3983 -2.0254 -0.2685  -0.889
H: 0.4503 -3.2992 -0.4594  0.328
H: -2.1199 -2.8643 -0.5475  0.315
H: -1.8237 -2.1280 0.7737  0.283
H: -1.6159 -1.0935 -0.8061  0.257
N: 0.7537 1.9215 1.4060  -0.278
C: 0.0539 1.8351 0.1731  -0.097
N: 1.0229 1.5905 -1.0326  -0.313
H: 1.1297 1.0624 1.7274  0.297
H: 0.4355 2.5459 2.2132  0.315
H: -0.7370 2.5714 -0.0942  0.361
H: -0.3718 0.6882 0.2011  0.118
H: 1.4399 0.6869 -0.8184  0.257
H: 1.8554 2.2100 -1.0301  0.304



[3]
The following is a quantum chemistry calculation of C30H29BiBrCl3IN3O4SSi as an isolated structure at a distorted geometry, from the OMol25 dataset.

Results
* multiplicity: 1
* E: -6780.542011 Eh
* relative energy (zero: lowest compared OMol25 entry of this formula, charge and spin): 1.6 kcal per mole
* LUMO level: 3.549 eV
* total charge: -2
* frontier orbital gap: 0.1772 hartree

Each line ends with the Mulliken charge.
Geometry (Å):
Bi: -1.4419 1.2953 -0.3445  0.881
O: 1.5211 0.6280 5.2425  -0.954
C: 0.9436 -0.5177 5.3716  0.628
C: 0.9637 -1.2414 6.5979  -0.593
C: 0.3466 -2.4699 6.7340  -0.281
C: -0.3351 -3.0582 5.6695  -0.701
C: -0.3797 -2.3757 4.4589  -0.205
C: 0.2389 -1.1456 4.2932  -0.802
C: 0.1584 -0.4393 2.9555  0.432
O: 0.2137 0.9518 3.0550  -0.552
N: 1.2398 -0.9750 2.1089  -0.167
N: 1.5467 -0.3502 0.9786  0.228
C: 2.7007 -0.5658 0.4732  -0.492
C: 3.2036 0.0779 -0.7231  0.684
Br: 2.2247 1.5802 -1.3993  -0.123
C: 4.3531 -0.1953 -1.3479  -1.253
C: 5.1859 -1.3882 -1.1627  0.565
C: 6.5670 -1.2923 -1.3710  -0.665
C: 7.3885 -2.4017 -1.2583  -0.470
C: 6.8438 -3.6421 -0.9499  -0.349
C: 5.4718 -3.7541 -0.7638  -0.637
C: 4.6458 -2.6445 -0.8684  -0.097
H: 0.7876 1.1053 3.8756  0.400
H: 1.4803 -0.7856 7.4363  0.361
H: 0.3952 -2.9854 7.6889  0.314
H: -0.8255 -4.0177 5.7821  0.355
H: -0.9065 -2.8083 3.6117  0.445
H: -0.7851 -0.7091 2.4627  -0.008
H: 1.9863 -1.4453 2.6059  0.408
H: 3.4096 -1.2229 0.9791  0.444
H: 4.7109 0.5215 -2.0770  0.325
H: 6.9953 -0.3268 -1.6213  0.356
H: 8.4555 -2.3011 -1.4227  0.345
H: 7.4807 -4.5162 -0.8802  0.349
H: 5.0300 -4.7226 -0.5639  0.391
H: 3.5653 -2.7699 -0.8333  0.451
I: -1.6272 4.0901 -2.1797  -0.013
C: -2.1705 2.7473 -3.7074  0.183
C: -2.8240 3.2872 -4.7832  -0.518
C: -3.0102 2.5221 -5.9441  -0.664
C: -2.4661 1.2653 -6.0024  -0.741
C: -1.7888 0.7072 -4.9037  0.973
C: -1.1426 -0.5555 -5.0111  -1.347
C: -0.4355 -1.0759 -3.9827  -0.681
C: -0.4226 -0.4317 -2.7046  0.111
C: -1.1064 0.7796 -2.5354  0.282
C: -1.6869 1.4130 -3.6657  0.423
H: -3.1690 4.3124 -4.7483  0.368
H: -3.5325 2.9481 -6.7924  0.362
H: -2.5298 0.6783 -6.9132  0.342
+++

Reply:
The following is a quantum chemistry calculation of C30H29BiBrCl3IN3O4SSi as an isolated structure at a distorted geometry, from the OMol25 dataset.